+++
(1)
Computed, not measured: C23H25ClN4O in the gas phase, with ωB97M-V with the def2-TZVPD basis set.

Geometry (Å):
Cl -1.160 -3.681 -3.687
O -3.012 1.277 -0.806
N -1.426 2.652 -1.631
N -0.247 1.315 -3.507
N 0.600 -1.217 2.170
N 1.293 0.889 3.844
C 0.036 0.065 -2.982
C 2.548 -0.540 5.311
C 0.729 -3.539 4.367
C -1.047 1.558 0.499
C -0.329 -2.320 -3.014
C 1.691 -0.330 4.097
C -0.651 0.275 0.785
C 2.718 0.730 6.133
C 0.075 2.410 2.460
C 0.607 -2.520 -2.013
C -1.917 1.793 -0.695
C -2.136 2.761 -2.888
C 1.275 -1.414 -1.522
C 0.505 2.473 -3.090
C 0.523 1.108 2.757
C 1.761 -2.828 3.488
C -0.036 3.031 -1.749
C 1.339 -1.413 3.230
C -0.686 2.627 1.346
C -0.613 -1.061 -3.504
C -1.612 1.669 -3.853
C 1.003 -0.143 -1.993
C 0.160 0.032 1.907
H 2.104 -1.325 5.928
H -2.247 0.790 -3.760
H -1.971 3.765 -3.288
H 1.564 2.225 -3.014
H 0.350 3.212 3.127
H 2.741 -2.858 3.964
H 2.008 -1.540 -0.740
H 3.529 -0.901 4.984
H 1.816 -3.343 2.527
H -1.651 2.030 -4.888
H -1.035 3.621 1.107
H 1.544 0.684 -1.563
H -0.941 -0.554 0.159
H 1.030 -4.570 4.539
H -0.240 -3.536 3.874
H 3.180 1.508 5.533
H -3.199 2.618 -2.695
H 0.625 -3.044 5.330
H 0.048 4.125 -1.733
H 0.808 -3.509 -1.637
H 1.750 1.093 6.466
H -1.325 -0.964 -4.307
H 3.341 0.534 7.003
H 0.395 3.224 -3.878
H 0.520 2.629 -0.903

## Properties
Gap between HOMO and LUMO   7.9 eV
Calculated total energy   -1645.938154 hartree
M   408.9 g/mol
ΔE to the lowest compared entry with this formula, charge and spin   1.01 kJ/mol
SMILES   CCc1nc2ccc(C(=O)N3CCN(c4cccc(Cl)c4)CC3)cc2nc1CC
Maximum force   0.8 eV/Å

Here are the Mulliken charges for atoms 1 to 5, given in e: -0.24, -0.66, 0.11, 0.04, -0.43


(2)
Computed, not measured: C15H20F2N2O3 in the gas phase at a distorted geometry, with ωB97M-V with the def2-TZVPD basis set.

Geometry (Å):
F 2.233 2.473 1.868
F 1.404 2.675 -0.112
O -0.587 -2.605 1.411
O -3.653 -1.176 0.693
O 1.406 0.641 0.850
N 0.418 -1.700 1.139
N -1.651 -0.128 0.381
C -2.466 -1.055 0.911
C 4.855 -1.198 -0.609
C -1.194 -0.907 -2.439
C -3.159 1.688 -0.299
C 1.292 1.959 1.039
C 4.816 0.181 -0.511
C 3.756 -1.940 -0.225
C -2.012 0.761 -0.716
C 3.682 0.816 -0.030
C -2.758 2.613 0.843
C 2.582 0.072 0.360
C 2.601 -1.331 0.268
C -2.362 -0.044 -1.973
C -1.743 -1.968 1.925
C 1.484 -2.176 0.639
H -2.469 2.034 1.718
H -3.592 3.253 1.120
H -3.224 -0.674 -1.752
H -1.121 1.367 -0.921
H -1.923 3.248 0.548
H -1.491 -1.377 2.814
H -3.456 2.283 -1.164
H -0.934 -1.645 -1.684
H 3.677 1.892 0.034
H -0.317 -0.293 -2.636
H -4.007 1.073 0.002
H 1.602 -3.245 0.459
H 0.300 2.167 1.471
H -2.412 -2.784 2.202
H -2.642 0.652 -2.766
H -1.456 -1.435 -3.352
H 3.780 -3.017 -0.302
H 5.666 0.775 -0.810
H 5.737 -1.693 -0.985
H -0.663 -0.232 0.591

## Properties
Gap between HOMO and LUMO   9.1 eV
Calculated total energy   -1118.511020 hartree
M   314.3 g/mol
ΔE to the lowest compared entry with this formula, charge and spin   8.24 kJ/mol
SMILES   CCC(CC)NC(=O)CO/N=C/c1ccccc1OC(F)F
Maximum force   1.6 eV/Å

Here are the Mulliken charges for atoms 1 to 5, given in e: -0.27, -0.28, -0.35, -0.66, -0.39


(3)
Computed, not measured: 3 unconnected molecules or ions with the total composition C18H14N4O3S at a distorted geometry, with ωB97M-V with the def2-TZVPD basis set.

Geometry (Å):
S -3.318 1.148 -1.417
O -0.708 0.698 -1.714
O 2.004 0.908 3.185
O -1.520 -2.333 -2.137
N -0.878 -0.665 2.418
N -2.523 -1.736 -0.353
N -1.279 2.100 0.189
N 0.076 -0.054 2.764
C -2.318 -1.601 -1.675
C 1.047 2.634 0.716
C 3.524 -1.128 -0.277
C -0.484 -1.422 1.288
C -1.668 1.171 -0.970
C 0.491 1.466 -1.185
C 2.679 1.897 -0.786
C 1.427 0.103 2.503
C -3.030 -0.560 -2.162
C 2.431 2.660 0.242
C 1.806 1.415 -1.624
C 3.238 -0.685 0.959
C -1.545 -2.245 0.462
C 0.835 -1.389 0.832
C 0.012 2.159 -0.004
C 2.543 -2.115 -0.822
C 1.329 -2.118 -0.567
C 1.817 -0.839 1.479
H -3.028 -0.894 0.091
H 2.118 0.702 -2.633
H 3.120 3.091 0.962
H 2.881 -2.483 -1.676
H 4.473 -1.375 -0.537
H 0.802 3.204 1.784
H -1.178 -3.336 0.161
H -0.296 0.510 3.576
H 3.632 1.910 -0.838
+++

Echo every line further above that contains the word "energy", please.

Calculated total energy   -1645.938154 hartree
Calculated total energy   -1118.511020 hartree